django ckeditor running into unexpected errors - django

I am using django-ckeditor python package in my django app (django 1.11 + python 2.7). I have integrated it with s3 and it is hosted on Heroku. So far everything runs smooth.
Earlier I had an issue that non admin user could not upload images to server thus can not use any images as a part of their content. I fixed it by overriding ckeditor's browse and upload view. When i tested it it was working just fine. I pushed it to production.
Now none of my user can use ckeditors image upload or browse feature. when I try it, (as an admin or as regular user) it works. some users reported that app crashes, some said image wont show up despite uploading to server (also I can't see it in my s3 bucket.)
other images are working well with s3 for all users. but ckeditors images are working only for me, no matter which machine or which role I try as.
I also checked heroku apps, but they are not helpful at all.
Does anyone have idea any guesses why this could be happening.


Django web site URLS gets "?next=" randomly after deployed to heroku

After deploying django app on heroku the url after every form submission or link in site been press resulting with "?next=" inserts into the URL address, I don't understand from where it comes and why heroku keep inserting them in a random way, running the application locally just working perfectly.
I've deleted the application from heroku and upload it again, the fault persists.
There's no http errors what so ever. If I keep submitting the form eventually will works.
For example: pressing the log button in the django admin console results with this URL:, hitting it quite a bit will finally make it work with the correct url display:
Switching from heroku postgres to AWS RDS postgres didn't help.
Help will be very appreciated.
When a user hits a page requiring authentication, they get redirected to the login URL with a ?next= indicating the page they were trying to access. This way, after they've logged in, they'll get the page they intended to access.
In your case, it seems like /admin/login/admin/ requires a login and the login is actually at /admin/login/. I'm guessing you have a bad link to /admin/login/admin/ somewhere when you intended to just have /admin/login/?
Well, struggling for days just to understand it's heroku backend issue and there's not enough information that could help me solving it (i did try to contact heroku support directly but I'm on a free account).
Finally I decided to deploy it using elastic beanstalk. The implementation took some time with long learning curve but now my site works and works great!
Thanks for trying to help Tim.

Is there a way to use the python model "webbrowser" with Heroku?

(1)
NaGdZn2: optimized geometry, PBE.

The space group is P4/mmm (No. 123) and the conventional cell measures 3.549, 3.549 and 7.470 Å, with angles of 90.00, 90.00 and 90.00 degrees. Symmetry generates all atoms from Na at (0.000, 0.000, 0.000), Gd at (0.000, 0.000, 0.500) and Zn at (0.500, 0.500, 0.262).

As for the polymorph energy (0 for the lowest one): 0.0 kJ/mol of formula units. For the total moment, the calculation gives 1.88 μB/atom.


(2)
GdNb2: optimized geometry, PBE.

The space group is Fd-3m (No. 227, origin choice 2) and the conventional cell measures 8.131, 8.131 and 8.131 Å, with angles of 90.00, 90.00 and 90.00 degrees. Symmetry generates all atoms from Gd at (0.125, 0.125, 0.125) and Nb at (0.000, 0.000, 0.500).

For the total moment, the calculation gives 2.61 μB/atom.


(3)
GdNb5: optimized geometry, PBE.

The space group is Cmmm (No. 65) and the conventional cell measures 4.943, 14.417 and 3.346 Å, with angles of 90.00, 90.00 and 90.00 degrees. Symmetry generates all atoms from Gd at (0.000, 0.000, 0.000), Nb at (0.000, 0.182, 0.500), Nb at (0.000, 0.333, 0.000) and Nb at (0.000, 0.500, 0.500).

For the total moment, the calculation gives 1.24 μB/atom.


(4)
GdNbNi2: optimized geometry, PBE.

The space group is R-3m (No. 166, hexagonal axes) and the conventional cell measures 4.2587, 4.2587 and 14.3944 Å, with angles of 90.00, 90.00 and 120.00 degrees. Symmetry generates all atoms from Gd at (0.0000, 0.0000, 0.0000), Nb at (0.0000, 0.0000, 0.5000) and Ni at (0.0000, 0.0000, 0.2013).

As for the polymorph energy (0 for the lowest one): 0.0 kJ/mol of formula units. For the total moment, the calculation gives 1.76 μB/atom.


(5)
GdNbNi2: optimized geometry, PBE.

The space group is P4/mmm (No. 123) and the conventional cell measures 3.211, 3.211 and 6.726 Å, with angles of 90.00, 90.00 and 90.00 degrees. Symmetry generates all atoms from Gd at (0.000, 0.000, 0.000), Nb at (0.000, 0.000, 0.500) and Ni at (0.500, 0.500, 0.307).

As for the polymorph energy (0 for the lowest one): 8.4 kJ/mol of formula units. For the total moment, the calculation gives 1.86 μB/atom.


(6)
GdNbNiRu: optimized geometry, PBE.

The space group is F-43m (No. 216) and the conventional cell measures 6.544, 6.544 and 6.544 Å, with angles of 90.00, 90.00 and 90.00 degrees. Symmetry generates all atoms from Gd at (0.000, 0.000, 0.000), Nb at (0.000, 0.000, 0.500), Ni at (0.250, 0.250, 0.250) and Ru at (0.250, 0.250, 0.750).

For the total moment, the calculation gives 1.75 μB/atom.


(7)
Gd3NbO7: optimized geometry, PBE.
The materials data stop here:

I am working on deploying a django app to heroku and I am having trouble with the webbrowser module. The function initially creates a pdf from html using pdfkit (this part works fine). Afterwards, I use '''webbrowser.open_new_tab''' to render the pdf in a new tab. This works perfectly locally, but not when I deploy to Heroku :( I checked the Heroku log, and it indicates that the pdf is being properly compiled and that the webbrowser command is successfully called, but alas, a new tab is not opened... Are there any suggestions on how best to tackle this issue? Perhaps I am missing an important environment variable that allows me to open new pages on the user's browser?
Thank you,
-- Carter

Crystal structures from another source follow:
=====
No. 1
First-principles (GGA-PBE) data for crystalline Ho6ErMg2 at its relaxed geometry, as listed in Alexandria via LeMat-Bulk.

Cell lengths 6.5958, 6.5958, 21.5735 Å; angles 90.00, 90.00, 120.00 degrees
With the nearest neighbours (Å) after each atom.
Space group R3 (No. 146, hexagonal axes)
Unique sites:
Ho: 0.0028 0.5521 0.0000 x9  2 Mg 3.23-3.36, 1 Er 3.25, 5 Ho 3.32-3.45
Ho: 0.1264 0.3359 0.1760 x9  2 Mg 3.18-3.52, 1 Er 3.25, 5 Ho 3.31-3.45
Er: 0.0000 0.0000 0.7869 x3  1 Mg 3.00, 6 Ho 3.25
Mg: 0.0000 0.0000 0.0591 x3  1 Mg 2.87, 3 Ho 3.18
Mg: 0.0000 0.0000 0.9261 x3  1 Mg 2.87, 1 Er 3.00



No. 2
First-principles (GGA-PBE) data for crystalline Ho3ErMg7 at its relaxed geometry, as listed in Alexandria via LeMat-Bulk.

Output
energy relative to the lowest polymorph listed for this composition	0	meV per atom

Cell lengths 3.2902, 22.4155, 16.3014 Å; angles 90.00, 90.00, 90.00 degrees
With the nearest neighbours (Å) after each atom.
Space group Cmcm (No. 63)
Unique sites:
Ho: 0.0000 0.1178 0.0332 x8  2 Ho 3.29, 9 Mg 3.30-3.62
Ho: 0.0000 0.2376 0.7500 x4  2 Ho 3.29, 9 Mg 3.29-3.38
Er: 0.0000 0.0139 0.7500 x4  10 Mg 3.17-3.34, 2 Er 3.29
Mg: 0.0000 0.2620 0.0751 x8  3 Mg 2.87-3.00
Mg: 0.0000 0.3754 0.1576 x8  3 Mg 2.87-3.01
Mg: 0.0000 0.3845 0.7500 x4  2 Mg 3.29, 1 Ho 3.29, 2 Er 3.33
Mg: 0.0000 0.4937 0.0843 x8  2 Mg 2.76-2.91



No. 3
First-principles (GGA-PBE) data for crystalline HoEr2Mg9 at its relaxed geometry, as listed in Alexandria via LeMat-Bulk.

Output
energy relative to the lowest polymorph listed for this composition	34	meV per atom

Cell lengths 6.0184, 6.0184, 28.9506 Å; angles 90.00, 90.00, 120.00 degrees
With the nearest neighbours (Å) after each atom.
Space group R-3m (No. 166, hexagonal axes)
Unique sites:
Ho: 0.0000 0.0000 0.0000 x3  18 Mg 3.47-3.88
Er: 0.0000 0.0000 0.1434 x6  12 Mg 3.46-3.54, 3 Er 3.73
Mg: 0.0000 0.0000 0.3341 x6  6 Mg 2.99-3.00
Mg: 0.0000 0.0000 0.5000 x3  6 Mg 2.97
Mg: 0.0053 0.5026 0.9156 x18  7 Mg 2.96-3.06



no.,energy relative to the elements (meV per atom)
1,193
2,97
3,-18
=====
Here the text continues:

Using Django + easy-thumbnails/sorl-thumbnail on Elastic Beanstalk

I'm having some issues using Django and easy_thumbnails on Elastic Beanstalk and I'm not really sure what's going wrong... Here's the problem:
I'm using easy_thumbnails to do my thumbnailing in the template. I like the flexibility this gives me, so I'd rather not do the thumbnailing in the model. When I upload an image it's stored in the database fine and is uploaded to and EBS volume. So far so good. My problem lies in that I can't thumbnail any images. If I turn on thumbnail debug it seems that easy_thumbnails isn't reading/finding the image. I suspect this problem may have something to do with my media url settings, but I'm at quite a loss as to what to change.
Has anyone else had experience with either sorl_thumbnail or easy_thumbnails? I'd really appreciate any guidence. On my local development server my thumbnails work perfectly fine.
Easy-thumbnails has no easy support for AmazonS3, you can apply this setup to make it work
As mentioned here: Django-Storages + Easy_Thumbnails: [Errno 30] Read-only file system

Admin media disappear while running django trunk in development mode

I got into django recently and start playing around with the tutorials & documentation (with the development version). Everything has been fine till I decide to update again to the latest django trunk and well my admin media are not showing up at all!
After some troubles, I managed to get admin media showing by commenting out django.contrib.staticfiles. However as I do use the staticfiles app to manage my site static files, I need it to be enabled. After some troubles, I manage to get both admin media and staticfiles showing by using collectstatic to collect the admin media files to my static folder.
However is there a way for me to serve admin media in DEBUG mode easily like last time without using collect static command? as I don't want to call the collectstatic every time when django admin media files got changed in trunk? (though I don't know how often/rare that is)
Django trunk is changing how static files are served, and in fact new changes landed this morning.
You'll want to get latest again, and then start here:

Django admin logging out on model save

These calculated crystals were left in the text by mistake:
********
(1)
The following is a PBE-GGA calculation of an optimized crystal structure of SrBeCo, from the Alexandria database.

a b c (Å): 6.3148 6.3148 6.3148
angles (deg): 90.00 90.00 90.00
With the nearest neighbours (Å) after each atom.
Element x y z (fractional)
Sr 0.0000 0.0000 0.0000  4 Be 2.73
Sr 0.0000 0.5000 0.5000  4 Be 2.73
Sr 0.5000 0.0000 0.5000  4 Be 2.73
Sr 0.5000 0.5000 0.0000  4 Be 2.73
Be 0.2500 0.2500 0.7500  4 Co 2.73, 4 Sr 2.73
Be 0.2500 0.7500 0.2500  4 Co 2.73, 4 Sr 2.73
Be 0.7500 0.2500 0.2500  4 Co 2.73, 4 Sr 2.73
Be 0.7500 0.7500 0.7500  4 Co 2.73, 4 Sr 2.73
Co 0.0000 0.0000 0.5000  4 Be 2.73
Co 0.0000 0.5000 0.0000  4 Be 2.73
Co 0.5000 0.0000 0.0000  4 Be 2.73
Co 0.5000 0.5000 0.5000  4 Be 2.73

- Space group: F-43m, No. 216
- Energy of formation: 0.89 eV/atom
- Relative energy among the computed polymorphs: 579 meV/atom


(2)
The following is a PBE-GGA calculation of an optimized crystal structure of Nd3AgPt, from the Alexandria database.

a b c (Å): 9.3074 7.7184 8.4310
angles (deg): 90.00 106.21 90.00
With the nearest neighbours (Å) after each atom.
Element x y z (fractional)
Nd 0.0774 0.0073 0.2173  1 Pt 2.96, 4 Ag 2.99-3.24
Nd 0.0774 0.4927 0.7173  1 Pt 2.96, 4 Ag 2.99-3.24
Nd 0.3092 0.1496 0.6198  3 Pt 2.92-3.06
Nd 0.3092 0.3504 0.1198  3 Pt 2.92-3.06
Nd 0.3612 0.6817 0.5006  3 Pt 3.09-3.23, 1 Ag 3.12
Nd 0.3612 0.8183 0.0006  3 Pt 3.09-3.23, 1 Ag 3.12
Nd 0.6388 0.1817 0.9994  3 Pt 3.09-3.23, 1 Ag 3.12
Nd 0.6388 0.3183 0.4994  3 Pt 3.09-3.23, 1 Ag 3.12
Nd 0.6908 0.6496 0.8802  3 Pt 2.92-3.06
Nd 0.6908 0.8504 0.3802  3 Pt 2.92-3.06
Nd 0.9226 0.5073 0.2827  1 Pt 2.96, 4 Ag 2.99-3.24
Nd 0.9226 0.9927 0.7827  1 Pt 2.96, 4 Ag 2.99-3.24
Ag 0.0569 0.6746 0.0306  1 Ag 2.89, 4 Nd 2.99-3.12
Ag 0.0569 0.8254 0.5306  1 Ag 2.89, 4 Nd 2.99-3.12
Ag 0.9431 0.1746 0.4694  1 Ag 2.89, 4 Nd 2.99-3.12
Ag 0.9431 0.3254 0.9694  1 Ag 2.89, 4 Nd 2.99-3.12
Pt 0.4080 0.0370 0.3182  7 Nd 2.92-3.23, 1 Pt 3.12
Pt 0.4080 0.4630 0.8182  7 Nd 2.92-3.23, 1 Pt 3.12
Pt 0.5920 0.5370 0.1818  7 Nd 2.92-3.23, 1 Pt 3.12
Pt 0.5920 0.9630 0.6818  7 Nd 2.92-3.23, 1 Pt 3.12

- Space group: P2_1/c, No. 14
- Energy of formation: -0.52 eV/atom
- Relative energy among the computed polymorphs: 6 meV/atom


(3)
The following is a PBE-GGA calculation of an optimized crystal structure of Be3InMo, from the Alexandria database.

a b c (Å): 4.3511 4.3511 4.3511
angles (deg): 90.00 90.00 90.00
With the nearest neighbours (Å) after each atom.
Element x y z (fractional)
Be 0.0000 0.0000 0.5000  2 Mo 2.18
Be 0.0000 0.5000 0.0000  2 Mo 2.18
Be 0.5000 0.0000 0.0000  2 Mo 2.18
In 0.5000 0.5000 0.5000  12 Be 3.08
Mo 0.0000 0.0000 0.0000  6 Be 2.18

- Space group: Pm-3m, No. 221
- Energy of formation: 1.13 eV/atom
- Relative energy among the computed polymorphs: 0 meV/atom


(4)
The following is a PBE-GGA calculation of an optimized crystal structure of LaSm6Er6, from the Alexandria database.

a b c (Å): 6.7064 6.7064 11.4305
angles (deg): 90.00 90.00 120.00
********

I'm running a Django app for my root public_html folder, and it's working fine. But there's a problem with one of my other apps. The problematic app is accessed through a redirect to a subdirectory (e.g. redirects to public_html, redirects to public_html/foo)
The problem is that the session expires whenever anything needs to be saved in the Django admin (either added or changed). If you try again, sometimes it works. This does not happen on my own machine when I run the Django dev server.
The timezone in both of the app files is the same, which is the same as the timezone in both of the .htaccess files.
The apps are almost identical, except the working app uses WYMEditor and the broken one uses TinyMCE as its text editor. Don't know why that would do anything to cause the problem, but I included it just in case. Also, I've made a custom CSS file for the admin backend in the broken app (again, shouldn't cause a problem).
Seems to have been a configuration issue with the company I was hosting with - it's not happening anymore.